Work out how many lines further below have the word "Computed" in them; a number is enough, please.

┌──
C4H14N3S | the ωB97M-V functional and the def2-TZVPD basis

```
22
Properties=species:S:1:pos:R:3:forces:R:3:mulliken_charge:R:1
S -0.646102 2.701107 -3.272446 -0.45 0.11 0.90 -0.19
N -0.642547 1.117698 0.548493 0.13 0.27 0.45 -0.23
N 0.623450 -3.548866 0.415197 0.73 0.34 -0.12 -0.60
N 0.506872 -1.195653 1.131635 0.23 -1.45 -0.19 -0.39
C 0.076712 -2.250528 0.543363 -1.32 1.01 -0.82 -0.01
C -0.233461 1.437744 -0.846228 -0.41 0.61 -0.62 -0.76
C -1.157661 2.508458 -1.501180 0.85 -0.52 0.45 -0.53
C 1.769817 -1.303045 1.878719 0.34 -1.35 0.09 -1.00
H -0.958614 3.421166 -0.932912 -0.29 0.17 -0.35 0.37
H 2.038453 -0.401470 2.429705 -0.06 0.22 -0.63 0.35
H 0.809424 1.784474 -0.791734 -0.40 -0.10 -0.16 0.37
H -0.095244 0.192280 0.877451 -0.44 -0.09 -0.01 0.41
H -0.265469 0.512120 -1.409971 0.05 -0.19 -0.05 0.40
H 2.546805 -1.672295 1.166745 -0.27 0.56 0.85 0.31
H 1.651110 -2.065253 2.672984 0.13 0.18 -0.51 0.31
H -0.418942 1.893192 1.178840 -0.05 -0.15 -0.13 0.39
H -0.107941 -4.177883 0.687927 -0.45 -0.62 0.93 0.30
H -1.646083 0.944745 0.652728 0.17 -0.01 -0.21 0.36
H -1.333505 3.845984 -3.439209 0.13 -0.15 -0.08 0.17
H -2.219019 2.224887 -1.389742 0.45 0.08 -0.21 0.36
H -0.883750 -2.192142 -0.015461 0.37 0.72 0.43 0.30
H 0.585702 -3.776723 -0.584905 0.56 0.36 0.00 0.30
```
Forces are in eV/Å.

Computed properties:
total charge = +1
molecular weight = 136.24 g mol⁻¹
energy relative to the best compared isomer or geometry (same formula, charge and spin) = 48.4 kcal per mole



C5H7NO4 | the ωB97M-V functional and the def2-TZVPD basis

```
17
Properties=species:S:1:pos:R:3:forces:R:3:mulliken_charge:R:1
O -1.809115 -0.011614 -1.281358 2.36 0.45 0.58 -0.59
O -0.726039 -2.848294 -0.225571 -0.05 0.98 -0.12 -0.53
O -0.541832 -1.196692 1.184342 0.05 0.26 0.94 -0.36
O -0.358341 -1.284379 -2.385693 1.71 0.37 -0.37 -0.49
N 0.933523 0.400029 -0.658382 0.26 0.52 -0.51 -0.53
C 0.048894 -0.002117 1.627278 -0.13 -0.03 -0.07 -0.03
C -0.750022 -0.660492 -1.238830 -4.37 -1.68 0.37 0.80
C -0.423090 1.352111 1.208917 -0.10 0.39 0.16 -0.71
C 0.900883 0.827197 0.718540 0.29 0.12 0.08 -0.24
C -0.632836 -1.658116 -0.061198 0.36 -0.85 -0.59 0.47
H 0.200699 -0.688575 -2.897346 -0.25 -0.08 -0.30 0.34
H 0.375007 -0.143514 2.656103 -0.11 0.07 -0.29 0.39
H 1.827776 1.247338 1.112293 -0.25 -0.08 -0.05 0.38
H -1.218577 1.441117 0.472202 0.12 -0.24 0.16 0.24
H 1.793972 -0.088049 -0.897900 -0.18 0.07 0.05 0.26
H 0.782493 1.178191 -1.299363 0.26 -0.04 0.18 0.32
H -0.403395 2.135857 1.965965 0.02 -0.23 -0.21 0.28
```
Forces are in eV/Å.

Computed properties:
molecular weight = 145.11 g mol⁻¹
energy relative to the best compared isomer or geometry (same formula, charge and spin) = 43.8 kcal per mole
SMILES = N[C@H]1C[C@H]1OC(=O)C(=O)O



C27H28N8O4S2Zr | the ωB97M-V functional and the def2-TZVPD basis

```
70
Properties=species:S:1:pos:R:3:forces:R:3:mulliken_charge:R:1
Zr 0.621009 0.562826 -0.590952 0.12 1.15 0.13 0.12
S -0.109604 1.945176 -2.507784 0.09 -0.24 0.06 -0.50
S 1.144567 2.775057 0.377219 0.06 -0.35 -0.09 -0.33
O -8.003282 1.270977 1.002393 0.01 -0.04 0.06 -0.61
O -8.142375 -0.267088 -0.497208 0.01 -0.05 0.05 -0.61
O -1.122520 0.820594 0.836075 0.14 -0.04 -0.08 -0.52
O -1.259234 -0.628956 -0.776848 0.04 -0.06 0.12 -0.48
N 1.908019 -0.929942 3.679101 0.02 0.01 0.07 0.10
N 1.412814 -0.894406 1.291651 -0.17 -0.04 -0.31 1.95
N 2.787779 0.413149 -1.113039 -0.50 -0.10 0.08 -0.24
N -7.517136 0.459110 0.245236 0.11 0.11 -0.15 1.02
N 3.100378 -2.416338 2.185757 0.06 -0.02 0.00 0.16
N 4.640581 2.943158 -4.177836 -0.03 0.00 -0.01 -0.47
N 0.761916 -2.810120 2.668921 -0.03 -0.04 0.02 0.17
N 5.733981 3.340406 0.211262 -0.04 -0.01 0.04 -0.49
C -1.845831 0.120006 0.069887 0.04 -0.17 -0.08 1.75
C 2.247260 -1.573151 -3.491993 0.02 -0.01 -0.02 -0.52
C -4.080405 -0.609125 -0.719687 -0.10 0.01 -0.01 -0.37
C 3.524306 1.284782 -1.398480 0.01 -0.11 0.07 0.43
C -1.988319 3.930293 -2.090938 -0.14 0.08 -0.01 -1.69
C 4.529166 2.659813 -3.067410 0.11 0.08 -0.08 -0.03
└──

2